August 25 and the Meaning of the Day for the DPRK

Kim Jong Il, Chairman of the National Defence Commission of the DPRK
Crystal structures, kept here for reference:
- - -
# GGA-PBE Pm2BrCl2, relaxed
# Total DFT energy (no corrections) ... -4.61 eV per atom
# Formation energy without anion corrections ... -8.2 eV per formula unit
# Total magnetization ... 0.000 μB per formula unit
data_Pm2BrCl2
_symmetry_space_group_name_H-M 'C 1 2/m 1'
_symmetry_Int_Tables_number 12
_symmetry_space_group_name_Hall '-C 2y'
_cell_length_a 12.785
_cell_length_b 5.592
_cell_length_c 8.125
_cell_angle_alpha 90.00
_cell_angle_beta 109.52
_cell_angle_gamma 90.00
loop_
_atom_site_label
_atom_site_fract_x
_atom_site_fract_y
_atom_site_fract_z
Pm1 0.001 0.000 0.281
Pm2 0.146 0.500 0.568
Br1 0.165 0.000 0.089
Cl1 0.006 0.500 0.781
Cl2 0.189 0.000 0.605
- - -
The page goes on:
August 25, 1960 is the day when Chairman Kim Jong Il (1942-2011) commenced his leadership over the revolutionary armed forces of his country, the Democratic People’s Republic of Korea. The DPRK celebrates this day as a meaningful one.
By leading the Korean People’s Army for several decades since then, Kim Jong Il safeguarded the security of the country and regional peace and turned the DPRK into a world-class military power.
One of the important meanings of August 25 is that the day was a watershed in the effort to make the KPA an army loyal to the Workers’ Party of Korea and the leader. As is acknowledged by many military experts of the world, the spirits unique to the KPA including the thoroughgoing spirit of defending the country and the spirit of devotedly serving the people were formed and consolidated under the leadership of the WPK and Chairman Kim Jong Il.
When he inspected Seoul Ryu Kyong Su Guards 105th Tank Division of the KPA on August 25, 1960, he attached the greatest importance to making the KPA an army absolutely faithful to the leadership of the WPK.
After his inspection of the tank division, he directed special attention to consolidating the WPK organs and other political bodies in the KPA and intensifying the ideological education of the service personnel. In the course of this the WPK’s command system, Kim Jong Il’s command system, was thoroughly established in the KPA.
Since the mid-1990s when the imperialists’ aggressive manoeuvres grew ever more undisguised and the country’s economic situation was difficult, Chairman Kim Jong Il firmly safeguarded socialism by placing the KPA in the vanguard. He continually visited KPA units, leading the service personnel to reliably defend the foremost posts of the country, and on the other hand, he dispatched them to major sites of economic construction so as to ensure that the KPA played a great role in laying a firm foundation for building the country into a socialist power.
Another meaning of August 25 is that the day made it possible to remarkably consolidate the fighting efficiency of the KPA and the nation’s defence capability, to creditably defend the sovereignty and dignity of the country.
Kim Jong Il energetically led the work for strengthening the fighting efficiency of the KPA with extraordinary strategic wisdom and outstanding art of command.
The DPRK always emerged victorious whenever the US made provocative manoeuvres including the incident of Pueblo, a US armed spy ship, and the incident of EC-121, a US large espionage plane, in the 1960s. The country owed these victories to his wise leadership.
There is another example.
In 1983 the US conducted the Team Spirit 83 joint military exercise which was planned to be climaxed with the landing of air-borne troops on an imaginary point in north Korea and gave wide publicity to the landing drill. Later the US, to its utter surprise, came to know that their dropping point was identical with the point Kim Jong Il had selected for the KPA to conduct an anti-air-borne troops drill.
Kim Jong Il directed great efforts to developing the national defence industry and thereby provided a guarantee that the KPA can win victory in confrontation with any enemy. With a noble sense of duty to defend the destiny of the country and people to the end, he channelled primary efforts into developing the national defence industry even in the period when the imperialists’ manoeuvres to isolate and stifle the DPRK went to extreme. Under his leadership the national defence industry of the DPRK developed into a modern and self-sufficient industry which can make necessary military equipment by its own efforts. In addition, the DPRK became a nuclear power. This ensured the strategic balance in the region and consolidated peace and security of the Korean peninsula.
In those days the US media organs commented that if a war broke out, over 70 percent of the population of south Korea would be killed and the total amount of loss would be worth 21 020 440 million dollars. The world media unanimously voiced that the formidable war deterrent of the DPRK improved the situation and safeguarded peace on the Korean peninsula.